Your job: repeat everything underneath verbatim.

____________
(1)
Compound: TiSnSN2
Source: the Alexandria database
Functional: PBEsol
Structure: optimized geometry

Properties
uncorrected formation energy: 82.6 kJ per mole of atoms

Geometry as CIF:
```
data_TiSnSN2
_chemical_formula_sum 'Ti1 Sn1 S1 N2'
_cell_length_a 3.9886
_cell_length_b 3.9886
_cell_length_c 5.0295
_cell_angle_alpha 90.00
_cell_angle_beta 90.00
_cell_angle_gamma 90.00
_space_group_name_H-M_alt 'P 1'
_space_group_IT_number 1
_space_group_name_Hall 'P 1'
loop_
_atom_site_label
_atom_site_fract_x
_atom_site_fract_y
_atom_site_fract_z
N1 0.5000 0.0000 0.0000
N2 0.0000 0.5000 0.0000
Sn1 0.0000 0.0000 0.0000
Ti1 0.5000 0.5000 0.5000
S1 0.0000 0.0000 0.5000
```

---

(2)
Compound: MgBe2Zn
Source: the Alexandria database
Functional: PBEsol
Structure: optimized geometry

Properties
energy above the most stable polymorph in this dataset: 0.0 meV per atom
energy of formation from the pure elements: 317 meV per atom

Geometry as CIF:
```
data_MgBe2Zn
_chemical_formula_sum 'Mg1 Be2 Zn1'
_cell_length_a 4.1318
_cell_length_b 4.1318
_cell_length_c 4.1318
_cell_angle_alpha 60.00
_cell_angle_beta 60.00
_cell_angle_gamma 60.00
_space_group_name_H-M_alt 'P 1'
_space_group_IT_number 1
_space_group_name_Hall 'P 1'
loop_
_atom_site_label
_atom_site_fract_x
_atom_site_fract_y
_atom_site_fract_z
Be1 0.7500 0.7500 0.7500
Be2 0.0000 0.0000 0.0000
Zn1 0.2500 0.2500 0.2500
Mg1 0.5000 0.5000 0.5000
```

---

(3)
Compound: V6P7O24
Source: the Alexandria database
Functional: PBEsol
Structure: optimized geometry

Properties
uncorrected formation energy: -199.5 kJ per mole of atoms

Geometry as CIF:
```
data_V6P7O24
_chemical_formula_sum 'V12 P14 O48'
_cell_length_a 5.2046
_cell_length_b 6.4534
_cell_length_c 26.2818
_cell_angle_alpha 90.00
_cell_angle_beta 90.00
_cell_angle_gamma 106.71
_space_group_name_H-M_alt 'P 1'
_space_group_IT_number 1
_space_group_name_Hall 'P 1'
loop_
_atom_site_label
_atom_site_fract_x
_atom_site_fract_y
_atom_site_fract_z
O1 0.0468 0.9437 0.3357
O2 0.8900 0.4163 0.8070
O3 0.1100 0.5837 0.3070
O4 0.8900 0.4163 0.6930
O5 0.5912 0.8386 0.4714
O6 0.1255 0.9956 0.0500
O7 0.5143 0.0663 0.7977
O8 0.1560 0.3923 0.5959
O9 0.5143 0.0663 0.7023
O10 0.1255 0.9956 0.4500
O11 0.5573 0.2937 0.4465
O12 0.4088 0.1614 0.5286
O13 0.8317 0.2010 0.2500
O14 0.4404 0.3665 0.1443
O15 0.1568 0.7684 0.8769
O16 0.4427 0.7063 0.9465
O17 0.9532 0.0563 0.8357
O18 0.8745 0.0044 0.9500
O19 0.4857 0.9337 0.2023
O20 0.1560 0.3923 0.9041
O21 0.8432 0.2316 0.3769
O22 0.8745 0.0044 0.5500
O23 0.3846 0.7880 0.1173
O24 0.5912 0.8386 0.0286
O25 0.8696 0.6308 0.5196
O26 0.3391 0.2229 0.2500
O27 0.6154 0.2120 0.6173
O28 0.6154 0.2120 0.8827
O29 0.3846 0.7880 0.3827
O30 0.1100 0.5837 0.1930
O31 0.8696 0.6308 0.9804
O32 0.5596 0.6335 0.8557
O33 0.0468 0.9437 0.1643
O34 0.1304 0.3692 0.0196
O35 0.4404 0.3665 0.3557
O36 0.5596 0.6335 0.6443
O37 0.1304 0.3692 0.4804
O38 0.4857 0.9337 0.2977
O39 0.1683 0.7990 0.7500
O40 0.8440 0.6077 0.4041
O41 0.5573 0.2937 0.0535
O42 0.1568 0.7684 0.6231
O43 0.8432 0.2316 0.1231
O44 0.8440 0.6077 0.0959
O45 0.6609 0.7771 0.7500
O46 0.4427 0.7063 0.5535
O47 0.9532 0.0563 0.6643
O48 0.4088 0.1614 0.9714
V1 0.1040 0.2686 0.3135
V2 0.7919 0.9115 0.4009
V3 0.8234 0.3112 0.9525
V4 0.8960 0.7314 0.6865
V5 0.8960 0.7314 0.8135
V6 0.1040 0.2686 0.1865
V7 0.2081 0.0885 0.9009
V8 0.2081 0.0885 0.5991
V9 0.1766 0.6888 0.0475
V10 0.7919 0.9115 0.0991
V11 0.8234 0.3112 0.5475
V12 0.1766 0.6888 0.4525
P1 0.6669 0.3779 0.3912
P2 0.2882 0.2023 0.4775
P3 0.2882 0.2023 0.0225
P4 0.4663 0.9140 0.7500
P5 0.7654 0.2030 0.8322
P6 0.2346 0.7970 0.1678
P7 0.6669 0.3779 0.1088
P8 0.7118 0.7977 0.9775
P9 0.7654 0.2030 0.6678
P10 0.2346 0.7970 0.3322
P11 0.3331 0.6221 0.8912
P12 0.7118 0.7977 0.5225
P13 0.5337 0.0860 0.2500
P14 0.3331 0.6221 0.6088
```

---

(4)
Compound: FePIr2
Source: the Alexandria database
Functional: PBEsol
Structure: optimized geometry

Properties
energy of formation from the pure elements: 267 meV per atom

Geometry as CIF:
```
____________

(1)
Compound: TiSnSN2
Source: the Alexandria database
Functional: PBEsol
Structure: optimized geometry

Properties
uncorrected formation energy: 82.6 kJ per mole of atoms

Geometry as CIF:
```
data_TiSnSN2
_chemical_formula_sum 'Ti1 Sn1 S1 N2'
_cell_length_a 3.9886
_cell_length_b 3.9886
_cell_length_c 5.0295
_cell_angle_alpha 90.00
_cell_angle_beta 90.00
_cell_angle_gamma 90.00
_space_group_name_H-M_alt 'P 1'
_space_group_IT_number 1
_space_group_name_Hall 'P 1'
loop_
_atom_site_label
_atom_site_fract_x
_atom_site_fract_y
_atom_site_fract_z
N1 0.5000 0.0000 0.0000
N2 0.0000 0.5000 0.0000
Sn1 0.0000 0.0000 0.0000
Ti1 0.5000 0.5000 0.5000
S1 0.0000 0.0000 0.5000
```

---

(2)
Compound: MgBe2Zn
Source: the Alexandria database
Functional: PBEsol
Structure: optimized geometry

Properties
energy above the most stable polymorph in this dataset: 0.0 meV per atom
energy of formation from the pure elements: 317 meV per atom

Geometry as CIF:
```
data_MgBe2Zn
_chemical_formula_sum 'Mg1 Be2 Zn1'
_cell_length_a 4.1318
_cell_length_b 4.1318
_cell_length_c 4.1318
_cell_angle_alpha 60.00
_cell_angle_beta 60.00
_cell_angle_gamma 60.00
_space_group_name_H-M_alt 'P 1'
_space_group_IT_number 1
_space_group_name_Hall 'P 1'
loop_
_atom_site_label
_atom_site_fract_x
_atom_site_fract_y
_atom_site_fract_z
Be1 0.7500 0.7500 0.7500
Be2 0.0000 0.0000 0.0000
Zn1 0.2500 0.2500 0.2500
Mg1 0.5000 0.5000 0.5000
```

---

(3)
Compound: V6P7O24
Source: the Alexandria database
Functional: PBEsol
Structure: optimized geometry

Properties
uncorrected formation energy: -199.5 kJ per mole of atoms

Geometry as CIF:
```
data_V6P7O24
_chemical_formula_sum 'V12 P14 O48'
_cell_length_a 5.2046
_cell_length_b 6.4534
_cell_length_c 26.2818
_cell_angle_alpha 90.00
_cell_angle_beta 90.00
_cell_angle_gamma 106.71
_space_group_name_H-M_alt 'P 1'
_space_group_IT_number 1
_space_group_name_Hall 'P 1'
loop_
_atom_site_label
_atom_site_fract_x
_atom_site_fract_y
_atom_site_fract_z
O1 0.0468 0.9437 0.3357
O2 0.8900 0.4163 0.8070
O3 0.1100 0.5837 0.3070
O4 0.8900 0.4163 0.6930
O5 0.5912 0.8386 0.4714
O6 0.1255 0.9956 0.0500
O7 0.5143 0.0663 0.7977
O8 0.1560 0.3923 0.5959
O9 0.5143 0.0663 0.7023
O10 0.1255 0.9956 0.4500
O11 0.5573 0.2937 0.4465
O12 0.4088 0.1614 0.5286
O13 0.8317 0.2010 0.2500
O14 0.4404 0.3665 0.1443
O15 0.1568 0.7684 0.8769
O16 0.4427 0.7063 0.9465
O17 0.9532 0.0563 0.8357
O18 0.8745 0.0044 0.9500
O19 0.4857 0.9337 0.2023
O20 0.1560 0.3923 0.9041
O21 0.8432 0.2316 0.3769
O22 0.8745 0.0044 0.5500
O23 0.3846 0.7880 0.1173
O24 0.5912 0.8386 0.0286
O25 0.8696 0.6308 0.5196
O26 0.3391 0.2229 0.2500
O27 0.6154 0.2120 0.6173
O28 0.6154 0.2120 0.8827
O29 0.3846 0.7880 0.3827
O30 0.1100 0.5837 0.1930
O31 0.8696 0.6308 0.9804
O32 0.5596 0.6335 0.8557
O33 0.0468 0.9437 0.1643
O34 0.1304 0.3692 0.0196
O35 0.4404 0.3665 0.3557
O36 0.5596 0.6335 0.6443
O37 0.1304 0.3692 0.4804
O38 0.4857 0.9337 0.2977
O39 0.1683 0.7990 0.7500
O40 0.8440 0.6077 0.4041
O41 0.5573 0.2937 0.0535
O42 0.1568 0.7684 0.6231
O43 0.8432 0.2316 0.1231
O44 0.8440 0.6077 0.0959
O45 0.6609 0.7771 0.7500
O46 0.4427 0.7063 0.5535
O47 0.9532 0.0563 0.6643
O48 0.4088 0.1614 0.9714
V1 0.1040 0.2686 0.3135
V2 0.7919 0.9115 0.4009
V3 0.8234 0.3112 0.9525
V4 0.8960 0.7314 0.6865
V5 0.8960 0.7314 0.8135
V6 0.1040 0.2686 0.1865
V7 0.2081 0.0885 0.9009
V8 0.2081 0.0885 0.5991
V9 0.1766 0.6888 0.0475
V10 0.7919 0.9115 0.0991
V11 0.8234 0.3112 0.5475
V12 0.1766 0.6888 0.4525
P1 0.6669 0.3779 0.3912
P2 0.2882 0.2023 0.4775
P3 0.2882 0.2023 0.0225
P4 0.4663 0.9140 0.7500
P5 0.7654 0.2030 0.8322
P6 0.2346 0.7970 0.1678
P7 0.6669 0.3779 0.1088
P8 0.7118 0.7977 0.9775
P9 0.7654 0.2030 0.6678
P10 0.2346 0.7970 0.3322
P11 0.3331 0.6221 0.8912
P12 0.7118 0.7977 0.5225
P13 0.5337 0.0860 0.2500
P14 0.3331 0.6221 0.6088
```

---

(4)
Compound: FePIr2
Source: the Alexandria database
Functional: PBEsol
Structure: optimized geometry

Properties
energy of formation from the pure elements: 267 meV per atom

Geometry as CIF:
```